Entries:
'''
[1]
Diffraction record for LiCu4H8C2O10. The powder diffractogram is computed, not measured: it uses a DFT-relaxed cell (PBE, the Materials Project) and Cu Ka.
No peak broadening, texture or thermal motion is included.

Principal peaks in the range 2θ = 10–90°, in order of falling intensity:
2θ 12.98, I = 100
2θ 26.13, I = 20
2θ 34.11, I = 13
2θ 33.39, I = 12
2θ 30.67, I = 12
2θ 37.48, I = 11

Crystal structure
Lattice parameters (Å, degrees): 5.8395 6.2232 7.2793 90.28 110.45 90.92
Sites, in units of the cell vectors:
Li  0.0000  0.0000  0.0000
Cu  0.4030  0.4976  0.2417
Cu  0.4465  0.0122  0.2413
Cu  0.9068  0.7420  0.2562
Cu  0.9080  0.2579  0.2501
H  0.0039  0.7252  0.6315
H  0.2191  0.5040  0.5073
H  0.2484  0.0085  0.4809
H  0.2950  0.2705  0.9524
H  0.5617  0.7703  0.5162
H  0.5819  0.5110  0.9870
H  0.6113  0.0128  0.9597
H  0.8153  0.2907  0.7882
C  0.1481  0.6758  0.7706
C  0.6841  0.1942  0.6649
O  0.1373  0.7530  0.9287
O  0.1404  0.0007  0.3416
O  0.1466  0.4988  0.3598
O  0.2482  0.2396  0.0666
O  0.3056  0.5448  0.7546
O  0.5526  0.0519  0.7092
O  0.5764  0.7514  0.3871
O  0.6709  0.4979  0.1299
O  0.6823  0.2360  0.4948
O  0.7068  0.0025  0.1034

[2]
Diffraction record for CuH6C4N8. The powder diffractogram is computed, not measured: it uses a DFT-relaxed cell (PBE, the Materials Project) and Cu Ka.
No peak broadening, texture or thermal motion is included.

Principal peaks in the range 2θ = 10–90°, in order of falling intensity:
2θ 12.62, I = 100
2θ 16.69, I = 48
2θ 25.05, I = 44
2θ 18.42, I = 37
2θ 26.23, I = 34
2θ 15.96, I = 21

Crystal structure
Lattice parameters (Å, degrees): 7.6999 9.6316 7.4627 90.00 114.40 90.00
Sites, in units of the cell vectors:
Cu  0.0000  0.0000  0.0000
Cu  0.0000  0.5000  0.5000
H  0.2775  0.0801  0.9140
H  0.2775  0.4199  0.4140
H  0.2817  0.1841  0.0929
H  0.2817  0.3159  0.5929
H  0.3649  0.0222  0.1435
H  0.3649  0.4778  0.6435
H  0.6351  0.5222  0.3565
H  0.6351  0.9778  0.8565
H  0.7183  0.6841  0.4071
H  0.7183  0.8159  0.9071
H  0.7225  0.5801  0.5860
H  0.7225  0.9199  0.0860
C  0.1231  0.7096  0.9181
C  0.1231  0.7904  0.4181
C  0.2569  0.0051  0.5262
C  0.2569  0.4949  0.0262
C  0.7431  0.5051  0.9738
C  0.7431  0.9949  0.4738
C  0.8769  0.2096  0.5819
C  0.8769  0.2904  0.0819
'''
What to do:
Retype all of the notes further up without additions.
Written answer:
[1]
Diffraction record for LiCu4H8C2O10. The powder diffractogram is computed, not measured: it uses a DFT-relaxed cell (PBE, the Materials Project) and Cu Ka.
No peak broadening, texture or thermal motion is included.

Principal peaks in the range 2θ = 10–90°, in order of falling intensity:
2θ 12.98, I = 100
2θ 26.13, I = 20
2θ 34.11, I = 13
2θ 33.39, I = 12
2θ 30.67, I = 12
2θ 37.48, I = 11

Crystal structure
Lattice parameters (Å, degrees): 5.8395 6.2232 7.2793 90.28 110.45 90.92
Sites, in units of the cell vectors:
Li  0.0000  0.0000  0.0000
Cu  0.4030  0.4976  0.2417
Cu  0.4465  0.0122  0.2413
Cu  0.9068  0.7420  0.2562
Cu  0.9080  0.2579  0.2501
H  0.0039  0.7252  0.6315
H  0.2191  0.5040  0.5073
H  0.2484  0.0085  0.4809
H  0.2950  0.2705  0.9524
H  0.5617  0.7703  0.5162
H  0.5819  0.5110  0.9870
H  0.6113  0.0128  0.9597
H  0.8153  0.2907  0.7882
C  0.1481  0.6758  0.7706
C  0.6841  0.1942  0.6649
O  0.1373  0.7530  0.9287
O  0.1404  0.0007  0.3416
O  0.1466  0.4988  0.3598
O  0.2482  0.2396  0.0666
O  0.3056  0.5448  0.7546
O  0.5526  0.0519  0.7092
O  0.5764  0.7514  0.3871
O  0.6709  0.4979  0.1299
O  0.6823  0.2360  0.4948
O  0.7068  0.0025  0.1034

[2]
Diffraction record for CuH6C4N8. The powder diffractogram is computed, not measured: it uses a DFT-relaxed cell (PBE, the Materials Project) and Cu Ka.
No peak broadening, texture or thermal motion is included.

Principal peaks in the range 2θ = 10–90°, in order of falling intensity:
2θ 12.62, I = 100
2θ 16.69, I = 48
2θ 25.05, I = 44
2θ 18.42, I = 37
2θ 26.23, I = 34
2θ 15.96, I = 21

Crystal structure
Lattice parameters (Å, degrees): 7.6999 9.6316 7.4627 90.00 114.40 90.00
Sites, in units of the cell vectors:
Cu  0.0000  0.0000  0.0000
Cu  0.0000  0.5000  0.5000
H  0.2775  0.0801  0.9140
H  0.2775  0.4199  0.4140
H  0.2817  0.1841  0.0929
H  0.2817  0.3159  0.5929
H  0.3649  0.0222  0.1435
H  0.3649  0.4778  0.6435
H  0.6351  0.5222  0.3565
H  0.6351  0.9778  0.8565
H  0.7183  0.6841  0.4071
H  0.7183  0.8159  0.9071
H  0.7225  0.5801  0.5860
H  0.7225  0.9199  0.0860
C  0.1231  0.7096  0.9181
C  0.1231  0.7904  0.4181
C  0.2569  0.0051  0.5262
C  0.2569  0.4949  0.0262
C  0.7431  0.5051  0.9738
C  0.7431  0.9949  0.4738
C  0.8769  0.2096  0.5819
C  0.8769  0.2904  0.0819